Data
w.
Entry from the Open Molecules 2025 dataset: the molecule C4H7N (the ωB97M-V functional and the def2-TZVPD basis).

Geometry as XYZ:
```
12
C4H7N, DFT the ωB97M-V functional and the def2-TZVPD basis
N 0.800 -1.124 0.704
C 0.083 -0.294 0.033
C -0.228 -0.716 -1.407
C 0.263 1.268 0.340
C -1.084 0.868 0.421
H 0.679 1.481 1.326
H 0.563 -1.158 1.700
H -0.143 0.091 -2.131
H -1.271 -1.001 -1.377
H 0.794 1.759 -0.467
H 0.350 -1.598 -1.652
H -1.502 0.986 1.429
```

Results
**Lowest unoccupied orbital energy**: -0.790 eV
**HOMO level**: -8.288 eV
**2S+1**: 1
**Orbital gap**: 7.50 eV
**Total charge**: 0


x.
Entry from the Open Molecules 2025 dataset: a cluster of 2 separate species, C4H7N in total (the ωB97M-V functional and the def2-TZVPD basis).

Geometry as XYZ:
```
12
C4H7N, DFT the ωB97M-V functional and the def2-TZVPD basis
C -2.986 0.311 -0.460
C 0.401 -0.420 -0.035
C 0.665 0.990 -0.446
C 1.234 -1.215 0.768
N -4.090 0.312 -0.766
H -1.870 0.223 -0.409
H -0.116 1.355 -1.177
H 1.599 1.089 -0.918
H 0.820 1.508 0.525
H 0.607 -1.509 1.682
H 2.225 -0.666 1.136
H 1.511 -1.977 0.100
```

Results
**Lowest unoccupied orbital energy (spin up / spin down)**: -0.245 / -0.239 eV
**HOMO level (spin up / spin down)**: -8.241 / -8.250 eV
**2S+1**: 1
**Orbital gap (spin up / spin down)**: 8.00 / 8.01 eV
**Total charge**: 0


Relative calculated energies, zero for the most stable structure, unit eV: w 0.279; x 0.000.


w.
Entry from the Open Molecules 2025 dataset: the molecule C4H7N (the ωB97M-V functional and the def2-TZVPD basis).

Geometry as XYZ:
```
12
C4H7N, DFT the ωB97M-V functional and the def2-TZVPD basis
C -1.629 0.118 -0.095
C -0.316 0.850 0.188
C 0.748 -0.096 0.697
C 1.708 -0.553 -0.071
N 2.657 -0.882 -0.782
H -2.418 0.807 -0.415
H -1.481 -0.628 -0.884
H -1.980 -0.411 0.798
H 0.040 1.345 -0.722
H -0.480 1.642 0.930
H 0.670 -0.484 1.709
H 2.481 -1.708 -1.354
```

Results
**Lowest unoccupied orbital energy**: 0.993 eV
**HOMO level**: -8.772 eV
**SMILES string**: CCC=C=N
**2S+1**: 1
**Orbital gap**: 9.77 eV
**Total charge**: 0


x.
Entry from the Open Molecules 2025 dataset: the molecule C4H7N (the ωB97M-V functional and the def2-TZVPD basis).

Geometry as XYZ:
```
12
C4H7N, DFT the ωB97M-V functional and the def2-TZVPD basis
C -1.081 0.285 1.047
C 0.049 -0.657 0.761
C 0.364 -0.900 -0.548
N -0.056 -0.170 -1.699
C 0.868 0.671 -1.292
H -1.955 -0.029 0.455
H -1.320 0.299 2.112
H -0.932 1.300 0.658
H 0.535 -1.098 1.620
H 0.894 -1.806 -0.859
H 1.899 0.588 -1.663
H 0.735 1.518 -0.592
```

Results
**Lowest unoccupied orbital energy**: -0.225 eV
**HOMO level**: -7.614 eV
**2S+1**: 1
**Orbital gap**: 7.39 eV
**Total charge**: 0


y.
Entry from the Open Molecules 2025 dataset: the molecule C4H7N (the ωB97M-V functional and the def2-TZVPD basis).

Geometry as XYZ:
```
12
C4H7N, DFT the ωB97M-V functional and the def2-TZVPD basis
C -1.606 0.096 -0.069
C -0.180 0.626 -0.011
C 0.801 -0.550 0.164
C 2.214 -0.194 0.011
N 3.328 -0.041 -0.258
H -2.327 0.906 -0.217
H -1.710 -0.613 -0.897
H -1.863 -0.429 0.858
H 0.062 1.179 -0.925
H -0.082 1.345 0.814
H 0.655 -1.019 1.147
H 0.708 -1.305 -0.617
```

Results
**Lowest unoccupied orbital energy**: 0.851 eV
**HOMO level**: -11.547 eV
**SMILES string**: CCCC#N
**2S+1**: 1
**Orbital gap**: 12.40 eV
**Total charge**: 0


z.
Entry from the Open Molecules 2025 dataset: the molecule C4H7N (the ωB97M-V functional and the def2-TZVPD basis).

Geometry as XYZ:
```
12
C4H7N, DFT the ωB97M-V functional and the def2-TZVPD basis
H -0.228 -2.212 1.083
N -0.657 -2.189 0.154
C -0.241 -1.096 -0.317
C -0.185 -0.113 -1.393
C 0.553 0.099 -0.048
C 0.041 1.139 0.923
H -1.054 0.518 -1.575
H 0.426 -0.327 -2.266
H 1.633 -0.042 -0.082
H 0.502 1.029 1.910
H 0.254 2.146 0.553
H -1.044 1.047 1.058
```

Results
**Lowest unoccupied orbital energy**: 0.998 eV
**HOMO level**: -9.374 eV
**SMILES string**: [H]/N=C1/C[C@H]1C
**2S+1**: 1
**Orbital gap**: 10.37 eV
**Total charge**: 0

Brief
Could you set down the listing above unchanged?

Here it is
w.
Entry from the Open Molecules 2025 dataset: the molecule C4H7N (the ωB97M-V functional and the def2-TZVPD basis).

Geometry as XYZ:
```
12
C4H7N, DFT the ωB97M-V functional and the def2-TZVPD basis
N 0.800 -1.124 0.704
C 0.083 -0.294 0.033
C -0.228 -0.716 -1.407
C 0.263 1.268 0.340
C -1.084 0.868 0.421
H 0.679 1.481 1.326
H 0.563 -1.158 1.700
H -0.143 0.091 -2.131
H -1.271 -1.001 -1.377
H 0.794 1.759 -0.467
H 0.350 -1.598 -1.652
H -1.502 0.986 1.429
```

Results
**Lowest unoccupied orbital energy**: -0.790 eV
**HOMO level**: -8.288 eV
**2S+1**: 1
**Orbital gap**: 7.50 eV
**Total charge**: 0


x.
Entry from the Open Molecules 2025 dataset: a cluster of 2 separate species, C4H7N in total (the ωB97M-V functional and the def2-TZVPD basis).

Geometry as XYZ:
```
12
C4H7N, DFT the ωB97M-V functional and the def2-TZVPD basis
C -2.986 0.311 -0.460
C 0.401 -0.420 -0.035
C 0.665 0.990 -0.446
C 1.234 -1.215 0.768
N -4.090 0.312 -0.766
H -1.870 0.223 -0.409
H -0.116 1.355 -1.177
H 1.599 1.089 -0.918
H 0.820 1.508 0.525
H 0.607 -1.509 1.682
H 2.225 -0.666 1.136
H 1.511 -1.977 0.100
```

Results
**Lowest unoccupied orbital energy (spin up / spin down)**: -0.245 / -0.239 eV
**HOMO level (spin up / spin down)**: -8.241 / -8.250 eV
**2S+1**: 1
**Orbital gap (spin up / spin down)**: 8.00 / 8.01 eV
**Total charge**: 0


Relative calculated energies, zero for the most stable structure, unit eV: w 0.279; x 0.000.


w.
Entry from the Open Molecules 2025 dataset: the molecule C4H7N (the ωB97M-V functional and the def2-TZVPD basis).

Geometry as XYZ:
```
12
C4H7N, DFT the ωB97M-V functional and the def2-TZVPD basis
C -1.629 0.118 -0.095
C -0.316 0.850 0.188
C 0.748 -0.096 0.697
C 1.708 -0.553 -0.071
N 2.657 -0.882 -0.782
H -2.418 0.807 -0.415
H -1.481 -0.628 -0.884
H -1.980 -0.411 0.798
H 0.040 1.345 -0.722
H -0.480 1.642 0.930
H 0.670 -0.484 1.709
H 2.481 -1.708 -1.354
```

Results
**Lowest unoccupied orbital energy**: 0.993 eV
**HOMO level**: -8.772 eV
**SMILES string**: CCC=C=N
**2S+1**: 1
**Orbital gap**: 9.77 eV
**Total charge**: 0


x.
Entry from the Open Molecules 2025 dataset: the molecule C4H7N (the ωB97M-V functional and the def2-TZVPD basis).

Geometry as XYZ:
```
12
C4H7N, DFT the ωB97M-V functional and the def2-TZVPD basis
C -1.081 0.285 1.047
C 0.049 -0.657 0.761
C 0.364 -0.900 -0.548
N -0.056 -0.170 -1.699
C 0.868 0.671 -1.292
H -1.955 -0.029 0.455
H -1.320 0.299 2.112
H -0.932 1.300 0.658
H 0.535 -1.098 1.620
H 0.894 -1.806 -0.859
H 1.899 0.588 -1.663
H 0.735 1.518 -0.592
```

Results
**Lowest unoccupied orbital energy**: -0.225 eV
**HOMO level**: -7.614 eV
**2S+1**: 1
**Orbital gap**: 7.39 eV
**Total charge**: 0


y.
Entry from the Open Molecules 2025 dataset: the molecule C4H7N (the ωB97M-V functional and the def2-TZVPD basis).

Geometry as XYZ:
```
12
C4H7N, DFT the ωB97M-V functional and the def2-TZVPD basis
C -1.606 0.096 -0.069
C -0.180 0.626 -0.011
C 0.801 -0.550 0.164
C 2.214 -0.194 0.011
N 3.328 -0.041 -0.258
H -2.327 0.906 -0.217
H -1.710 -0.613 -0.897
H -1.863 -0.429 0.858
H 0.062 1.179 -0.925
H -0.082 1.345 0.814
H 0.655 -1.019 1.147
H 0.708 -1.305 -0.617
```

Results
**Lowest unoccupied orbital energy**: 0.851 eV
**HOMO level**: -11.547 eV
**SMILES string**: CCCC#N
**2S+1**: 1
**Orbital gap**: 12.40 eV
**Total charge**: 0


z.
Entry from the Open Molecules 2025 dataset: the molecule C4H7N (the ωB97M-V functional and the def2-TZVPD basis).

Geometry as XYZ:
```
12
C4H7N, DFT the ωB97M-V functional and the def2-TZVPD basis
H -0.228 -2.212 1.083
N -0.657 -2.189 0.154
C -0.241 -1.096 -0.317
C -0.185 -0.113 -1.393
C 0.553 0.099 -0.048
C 0.041 1.139 0.923
H -1.054 0.518 -1.575
H 0.426 -0.327 -2.266
H 1.633 -0.042 -0.082
H 0.502 1.029 1.910
H 0.254 2.146 0.553
H -1.044 1.047 1.058
```

Results
**Lowest unoccupied orbital energy**: 0.998 eV
**HOMO level**: -9.374 eV
**SMILES string**: [H]/N=C1/C[C@H]1C
**2S+1**: 1
**Orbital gap**: 10.37 eV
**Total charge**: 0